_Material_
........
(1)
Starting from a cell relaxed with GGA+U, the X-ray diffraction stick pattern of CrO2 was calculated for λ = 1.5418 Å (Cu Kα).

Structural model:
```
data_CrO2
_cell_length_a 5.2273
_cell_length_b 2.8589
_cell_length_c 9.5515
_cell_angle_alpha 90.00
_cell_angle_beta 99.80
_cell_angle_gamma 90.00
_symmetry_space_group_name_H-M 'C 1 2/m 1'
_symmetry_Int_Tables_number 12
loop_
_symmetry_equiv_pos_as_xyz
'x,y,z'
'-x,-y,-z'
'-x,y,-z'
'x,-y,z'
'x+1/2,y+1/2,z'
'-x+1/2,-y+1/2,-z'
'-x+1/2,y+1/2,-z'
'x+1/2,-y+1/2,z'
loop_
_atom_site_label
_atom_site_fract_x
_atom_site_fract_y
_atom_site_fract_z
_atom_site_occupancy
Cr1 0.2394 0.0000 0.2474 1
O1 0.1172 0.5000 0.3496 1
O2 0.1263 0.0000 0.8537 1
```

Most intense lines, 2θ from 5° to 70°, low angle first:
| 2θ/deg | I/Imax | h k l |
| --- | --- | --- |
| 18.9 | 100 | 0 0 2 |
| 34.8 | 13 | 2 0 0 |
| 36.4 | 21 | 1 1 -1 |
| 42.8 | 18 | 2 0 2 |
| 44.4 | 32 | 1 1 -3 |
| 58.9 | 10 | 1 1 -5 |

---

(2)
Starting from a cell relaxed with GGA+U, the X-ray diffraction stick pattern of Mn6O5F7 was calculated for λ = 1.5418 Å (Cu Kα).

Structural model:
```
data_Mn6O5F7
_cell_length_a 4.6901
_cell_length_b 5.7414
_cell_length_c 15.6763
_cell_angle_alpha 89.02
_cell_angle_beta 88.85
_cell_angle_gamma 88.32
_symmetry_space_group_name_H-M 'P 1'
_symmetry_Int_Tables_number 1
loop_
_symmetry_equiv_pos_as_xyz
'x,y,z'
loop_
_atom_site_label
_atom_site_fract_x
_atom_site_fract_y
_atom_site_fract_z
_atom_site_occupancy
Mn1 0.0000 0.0000 0.0000 1
Mn2 0.0012 0.3131 0.1613 1
Mn3 0.4712 0.7909 0.1798 1
Mn4 0.4965 0.5040 0.0130 1
Mn5 0.5109 0.5021 0.3446 1
Mn6 0.5132 0.7918 0.5058 1
Mn7 0.5206 0.8138 0.8469 1
Mn8 0.5306 0.4955 0.6772 1
Mn9 0.9595 0.3115 0.5045 1
Mn10 0.9659 0.9886 0.6814 1
Mn11 0.9840 0.9824 0.3424 1
Mn12 0.9877 0.2898 0.8372 1
O1 0.2727 0.7538 0.2897 1
O2 0.2834 0.5305 0.1198 1
O3 0.2902 0.7743 0.9529 1
O4 0.7143 0.5379 0.5613 1
O5 0.7228 0.7619 0.7393 1
O6 0.7245 0.7588 0.3996 1
O7 0.7682 0.2635 0.3969 1
O8 0.7783 0.2510 0.7350 1
O9 0.7852 0.2702 0.0562 1
O10 0.7955 0.0399 0.8953 1
F1 0.2029 0.2633 0.6159 1
F2 0.2304 0.2515 0.2800 1
F3 0.2318 0.0368 0.4598 1
F4 0.2341 0.0296 0.1061 1
F5 0.2446 0.2804 0.9373 1
F6 0.2533 0.5333 0.4529 1
F7 0.2525 0.7707 0.6186 1
F8 0.2575 0.0236 0.7819 1
F9 0.2586 0.5203 0.7856 1
F10 0.7369 0.5392 0.9046 1
F11 0.7404 0.7713 0.0750 1
F12 0.7440 0.0383 0.5674 1
F13 0.7516 0.5335 0.2337 1
F14 0.7632 0.0407 0.2219 1
```

Most intense lines, 2θ from 5° to 70°, low angle first:
| 2θ/deg | I/Imax | h k l |
| --- | --- | --- |
| 24.2 | 100 | 1 1 0 |
| 24.9 | 88 | 1 -1 0 |
| 29.3 | 87 | 1 1 3 |
| 30.1 | 89 | 1 1 -3 |
| 30.2 | 90 | 1 -1 3 |
| 30.3 | 82 | -1 1 3 |

---

(3)
Starting from a cell relaxed with GGA+U, the X-ray diffraction stick pattern of Hg2MoO4 was calculated for λ = 1.5418 Å (Cu Kα).

Structural model:
```
data_Hg2MoO4
_cell_length_a 5.2895
_cell_length_b 9.4383
_cell_length_c 11.1971
_cell_angle_alpha 90.00
_cell_angle_beta 99.29
_cell_angle_gamma 90.00
_symmetry_space_group_name_H-M 'P 1 21/c 1'
_symmetry_Int_Tables_number 14
loop_
_symmetry_equiv_pos_as_xyz
'x,y,z'
'-x,-y,-z'
'-x,y+1/2,-z+1/2'
'x,-y+1/2,z+1/2'
loop_
_atom_site_label
_atom_site_fract_x
_atom_site_fract_y
_atom_site_fract_z
_atom_site_occupancy
Hg1 0.0509 0.2064 0.4235 1
Hg2 0.1647 0.6281 0.4365 1
Mo1 0.4686 0.5374 0.7834 1
O1 0.2112 0.0932 0.2835 1
O2 0.2877 0.0135 0.5899 1
O3 0.3360 0.7097 0.7894 1
O4 0.3988 0.0284 0.8577 1
```

Most intense lines, 2θ from 5° to 70°, low angle first:
| 2θ/deg | I/Imax | h k l |
| --- | --- | --- |
| 17.0 | 32 | 1 0 0 |
| 25.3 | 100 | 1 0 2 |
| 25.4 | 62 | 1 2 0 |
| 25.9 | 94 | 1 2 -1 |
| 30.8 | 55 | 0 2 3 |
| 33.3 | 38 | 1 2 -3 |

---

(4)
Starting from a cell relaxed with GGA+U, the X-ray diffraction stick pattern of Li9Mn2Co5O16 was calculated for λ = 1.5418 Å (Cu Kα).

Structural model:
```
data_Li9Mn2Co5O16
_cell_length_a 3.0194
_cell_length_b 9.9148
_cell_length_c 9.9660
_cell_angle_alpha 77.84
_cell_angle_beta 86.98
_cell_angle_gamma 86.76
........

_What to do_
Next, filter the calculation results above: keep the lines with the word "F13".

_Done_
F13 0.7516 0.5335 0.2337 1